[Job]
Copy the lines below from the one with "0.719 0.645" to the one with "0.724 0.413" without altering anything.

[Source]
********
[1]
DFT (PBE with a Hubbard U) results for an optimized crystal structure of Fe4O3F5.

Lattice parameters (Å, degrees): 5.881 5.881 9.295 91.43 91.43 64.30
Positions (direct):
Fe1 0.000 0.500 0.000
Fe2 0.000 0.500 0.500
Fe3 0.019 0.019 0.264
Fe4 0.463 0.463 0.759
Fe5 0.500 0.000 0.000
Fe6 0.500 0.000 0.500
Fe7 0.537 0.537 0.241
Fe8 0.981 0.981 0.736
O1 0.144 0.649 0.643
O2 0.343 0.343 0.908
O3 0.351 0.856 0.357
O4 0.649 0.144 0.643
O5 0.657 0.657 0.092
O6 0.856 0.351 0.357
F1 0.141 0.141 0.102
F2 0.154 0.154 0.603
F3 0.163 0.669 0.163
F4 0.331 0.837 0.837
F5 0.342 0.342 0.402
F6 0.658 0.658 0.598
F7 0.669 0.163 0.163
F8 0.837 0.331 0.837
F9 0.846 0.846 0.397
F10 0.859 0.859 0.898

Calculated values
The value obtained for the total energy is -5.858 eV per atom. The value obtained for the formation energy is -2.12 eV per atom. The value obtained for the volume is 12.1 A^3/atom. For the energy above the most stable polymorph in this dataset, the calculation gives 91 kJ/mol of formula units.

[2]
DFT (PBE with a Hubbard U) results for an optimized crystal structure of Mn7SbAsO12.

Lattice parameters (Å, degrees): 11.095 11.095 11.095 147.44 58.89 132.36
Positions (direct):
Mn1 0.000 0.000 0.500
Mn2 0.000 0.500 0.000
Mn3 0.158 0.000 0.658
Mn4 0.158 0.500 0.158
Mn5 0.190 0.523 0.666
Mn6 0.205 0.131 0.074
Mn7 0.357 0.523 0.834
Mn8 0.444 0.869 0.574
Mn9 0.556 0.131 0.426
Mn10 0.643 0.477 0.166
Mn11 0.795 0.869 0.926
Mn12 0.810 0.477 0.334
Mn13 0.842 0.000 0.342
Mn14 0.842 0.500 0.842
Sb1 0.000 0.500 0.500
Sb2 0.500 0.500 0.000
As1 0.370 0.120 0.250
As2 0.630 0.880 0.750
O1 0.047 0.718 0.329
O2 0.080 0.281 0.355
O3 0.080 0.726 0.799
O4 0.111 0.282 0.829
O5 0.215 0.724 0.491
O6 0.261 0.243 0.482
O7 0.261 0.779 0.018
O8 0.267 0.276 0.991
O9 0.406 0.230 0.176
O10 0.427 0.281 0.701
O11 0.427 0.726 0.145
O12 0.446 0.770 0.676
O13 0.554 0.230 0.324
O14 0.573 0.274 0.855
O15 0.573 0.719 0.299
O16 0.594 0.770 0.824
O17 0.733 0.724 0.009
O18 0.739 0.221 0.982
O19 0.739 0.757 0.518
O20 0.785 0.276 0.509
O21 0.889 0.718 0.171
O22 0.920 0.274 0.201
O23 0.920 0.719 0.645
O24 0.953 0.282 0.671

Calculated values
The value obtained for the total energy is -7.355 eV per atom. The value obtained for the formation energy is -2.00 eV per atom. The value obtained for the volume is 12.8 A^3/atom.

[3]
DFT (PBE with a Hubbard U) results for an optimized crystal structure of Na3VH11IO13.

Lattice parameters (Å, degrees): 6.307 9.031 11.454 70.05 83.90 80.70
Positions (direct):
Na1 0.078 0.232 0.426
Na2 0.101 0.475 0.853
Na3 0.174 0.073 0.160
Na4 0.826 0.927 0.840
Na5 0.899 0.525 0.147
Na6 0.922 0.768 0.574
V1 0.448 0.824 0.462
V2 0.552 0.176 0.538
H1 0.054 0.816 0.065
H2 0.101 0.423 0.618
H3 0.145 0.566 0.354
H4 0.185 0.136 0.905
H5 0.206 0.135 0.703
H6 0.309 0.591 0.989
H7 0.348 0.410 0.075
H8 0.376 0.841 0.006
H9 0.386 0.751 0.150
H10 0.426 0.371 0.680
H11 0.495 0.518 0.708
H12 0.505 0.482 0.292
H13 0.574 0.629 0.320
H14 0.614 0.249 0.850
H15 0.624 0.159 0.994
H16 0.652 0.590 0.925
H17 0.691 0.409 0.011
H18 0.794 0.865 0.297
H19 0.815 0.864 0.095
H20 0.855 0.434 0.646
H21 0.899 0.577 0.382
H22 0.946 0.184 0.935
I1 0.349 0.862 0.721
I2 0.651 0.138 0.279
O1 0.020 0.520 0.345
O2 0.094 0.198 0.951
O3 0.111 0.758 0.753
O4 0.173 0.034 0.772
O5 0.236 0.498 0.035
O6 0.247 0.734 0.450
O7 0.285 0.979 0.550
O8 0.313 0.848 0.087
O9 0.319 0.276 0.587
O10 0.414 0.008 0.316
O11 0.460 0.762 0.877
O12 0.461 0.408 0.748
O13 0.475 0.276 0.359
O14 0.525 0.724 0.641
O15 0.539 0.592 0.252
O16 0.540 0.238 0.123
O17 0.586 0.992 0.684
O18 0.681 0.724 0.413
O19 0.687 0.152 0.913
O20 0.715 0.021 0.450
O21 0.753 0.266 0.550
O22 0.764 0.502 0.965
O23 0.827 0.966 0.228
O24 0.889 0.242 0.247
O25 0.906 0.802 0.049
O26 0.980 0.480 0.655

Calculated values
********

[Outcome]
O23 0.920 0.719 0.645
O24 0.953 0.282 0.671

Calculated values
The value obtained for the total energy is -7.355 eV per atom. The value obtained for the formation energy is -2.00 eV per atom. The value obtained for the volume is 12.8 A^3/atom.

[3]
DFT (PBE with a Hubbard U) results for an optimized crystal structure of Na3VH11IO13.

Lattice parameters (Å, degrees): 6.307 9.031 11.454 70.05 83.90 80.70
Positions (direct):
Na1 0.078 0.232 0.426
Na2 0.101 0.475 0.853
Na3 0.174 0.073 0.160
Na4 0.826 0.927 0.840
Na5 0.899 0.525 0.147
Na6 0.922 0.768 0.574
V1 0.448 0.824 0.462
V2 0.552 0.176 0.538
H1 0.054 0.816 0.065
H2 0.101 0.423 0.618
H3 0.145 0.566 0.354
H4 0.185 0.136 0.905
H5 0.206 0.135 0.703
H6 0.309 0.591 0.989
H7 0.348 0.410 0.075
H8 0.376 0.841 0.006
H9 0.386 0.751 0.150
H10 0.426 0.371 0.680
H11 0.495 0.518 0.708
H12 0.505 0.482 0.292
H13 0.574 0.629 0.320
H14 0.614 0.249 0.850
H15 0.624 0.159 0.994
H16 0.652 0.590 0.925
H17 0.691 0.409 0.011
H18 0.794 0.865 0.297
H19 0.815 0.864 0.095
H20 0.855 0.434 0.646
H21 0.899 0.577 0.382
H22 0.946 0.184 0.935
I1 0.349 0.862 0.721
I2 0.651 0.138 0.279
O1 0.020 0.520 0.345
O2 0.094 0.198 0.951
O3 0.111 0.758 0.753
O4 0.173 0.034 0.772
O5 0.236 0.498 0.035
O6 0.247 0.734 0.450
O7 0.285 0.979 0.550
O8 0.313 0.848 0.087
O9 0.319 0.276 0.587
O10 0.414 0.008 0.316
O11 0.460 0.762 0.877
O12 0.461 0.408 0.748
O13 0.475 0.276 0.359
O14 0.525 0.724 0.641
O15 0.539 0.592 0.252
O16 0.540 0.238 0.123
O17 0.586 0.992 0.684
O18 0.681 0.724 0.413